10 things to know about the word ‘disability’

== Next to the article, the page also holds crystal structures ==
+++
DFT (GGA-PBE) results for an optimized crystal structure of Ti3CuO8.

The structure in CIF format:
```
data_Ti3CuO8
_chemical_formula_sum 'Ti3 Cu1 O8'
_cell_length_a 3.8082
_cell_length_b 3.8082
_cell_length_c 9.5849
_cell_angle_alpha 90.00
_cell_angle_beta 90.00
_cell_angle_gamma 90.00
_space_group_name_H-M_alt 'P -4 m 2'
_space_group_IT_number 115
loop_
_space_group_symop_operation_xyz
'x,y,z'
'y,-x,-z'
'-x,-y,z'
'-y,x,-z'
'-x,y,z'
'-y,-x,-z'
'x,-y,z'
'y,x,-z'
loop_
_atom_site_label
_atom_site_type_symbol
_atom_site_fract_x
_atom_site_fract_y
_atom_site_fract_z
Ti1 Ti 0.0000 0.0000 0.0000
Ti2 Ti 0.0000 0.5000 0.2542
Cu1 Cu 0.5000 0.5000 0.5000
O1 O 0.0000 0.0000 0.2087
O2 O 0.0000 0.5000 0.0424
O3 O 0.0000 0.5000 0.4586
O4 O 0.5000 0.5000 0.3010
```

Results
Corrected total energy (MP2020 scheme) (eV per atom): -8.33

---

DFT (GGA-PBE) results for an optimized crystal structure of LuPPd.

The structure in CIF format:
```
data_LuPPd
_chemical_formula_sum 'Lu4 P4 Pd4'
_cell_length_a 6.7887
_cell_length_b 3.9576
_cell_length_c 7.6969
_cell_angle_alpha 90.00
_cell_angle_beta 90.00
_cell_angle_gamma 90.00
_space_group_name_H-M_alt 'P n m a'
_space_group_IT_number 62
loop_
_space_group_symop_operation_xyz
'x,y,z'
'-x,-y,-z'
'-x+1/2,-y,z+1/2'
'x+1/2,y,-z+1/2'
'x+1/2,-y+1/2,-z+1/2'
'-x+1/2,y+1/2,z+1/2'
'-x,y+1/2,-z'
'x,-y+1/2,z'
loop_
_atom_site_label
_atom_site_type_symbol
_atom_site_fract_x
_atom_site_fract_y
_atom_site_fract_z
Lu1 Lu 0.0303 0.2500 0.1849
P1 P 0.2504 0.2500 0.8756
Pd1 Pd 0.1460 0.2500 0.5622
```

---

DFT (GGA-PBE) results for an optimized crystal structure of LiTiO2.

The structure in CIF format:
```
data_LiTiO2
_chemical_formula_sum 'Li16 Ti16 O32'
_cell_length_a 7.7634
_cell_length_b 8.7418
_cell_length_c 10.4877
_cell_angle_alpha 114.55
_cell_angle_beta 90.01
_cell_angle_gamma 101.26
_space_group_name_H-M_alt 'P 1'
_space_group_IT_number 1
loop_
_space_group_symop_operation_xyz
'x,y,z'
loop_
_atom_site_label
_atom_site_type_symbol
_atom_site_fract_x
_atom_site_fract_y
_atom_site_fract_z
Li1 Li 0.0000 0.0000 0.0000
Li2 Li 0.0081 0.3532 0.0029
Li3 Li 0.0195 0.6721 0.0114
Li4 Li 0.1101 0.7341 0.7465
Li5 Li 0.1700 0.7914 0.5156
Li6 Li 0.2555 0.8533 0.2539
Li7 Li 0.2654 0.1779 0.2655
Li8 Li 0.3536 0.2338 0.9918
Li9 Li 0.4181 0.2914 0.7684
Li10 Li 0.5084 0.3442 0.4983
Li11 Li 0.5230 0.6754 0.5102
Li12 Li 0.6041 0.7372 0.2535
Li13 Li 0.6636 0.7856 0.0118
Li14 Li 0.7656 0.1734 0.7668
Li15 Li 0.8510 0.2347 0.4961
Li16 Li 0.9199 0.2979 0.2733
Ti1 Ti 0.0738 0.0639 0.7641
Ti2 Ti 0.0822 0.3994 0.7574
Ti3 Ti 0.1902 0.1228 0.5042
Ti4 Ti 0.1945 0.4593 0.4973
Ti5 Ti 0.3385 0.5704 0.0196
Ti6 Ti 0.3407 0.9100 0.0154
Ti7 Ti 0.4454 0.6206 0.7486
Ti8 Ti 0.4467 0.9535 0.7413
Ti9 Ti 0.5838 0.3952 0.2532
Ti10 Ti 0.5862 0.0688 0.2591
Ti11 Ti 0.6787 0.1242 0.0135
Ti12 Ti 0.6902 0.4593 0.9993
Ti13 Ti 0.8382 0.5768 0.5258
Ti14 Ti 0.8389 0.9091 0.5160
Ti15 Ti 0.9298 0.9541 0.2519
Ti16 Ti 0.9387 0.6216 0.2537
O1 O 0.0404 0.5436 0.3911
+++
== End of the crystal structures ==
It’s time for another weekly round of ’10 things to know about’ and this week it’s about the word ‘disability’. Let’s just jump straight to my list.
1. Disability is not a dirty word.
2. Disability is not a dirty word.
3. Disability is not a dirty word.
4. Disability is not a dirty word
5. Do I need to say it again? Ok!
6. Disability is not a dirty word.
7. Disability is not a dirty word.
8. Disability is not a dirty word.
9. Disability is not a dirty word.
Ok so it’s a bit of a different list this week, but for a reason. Recently I came across an article “12 different ways to say disabled” and reading it really got to me. Reading the article, I then found the original article the above article was talking about “Viewpoint: Is it time to stop using the word “disability”?” and in doing so my anger went up another notch.
Can we PLEASE stop the discussion about different ways to say disabled or disability? These conversations are harmful for two reasons:
Firstly, these conversations confuse people outside of the disability community to the point that they are scared of using the wrong terminology when addressing us, to which I say use the preferred disability pronoun of the person you are talking to. Secondly, these conversations are ableist. They suggest that there is something wrong with the word ‘disability’. Even though I am a person with a disability, I used to be one of these people. Therefore to see people who are not disabled having these conversations, makes me angry because they are just perpetuating an ableist myth that there’s something wrong with having a disability.
I will note that these articles were written from the perspective of a parent of a child with a disability, and not being in their position, I cannot speak to the experience of a parent of a child with a disability. However, I find it extremely dangerous to see a person with a disability described as “…someone who has an impairment to set them apart from the majority”. Why is this dangerous? Because it is continuing to subscribe to the medical model of disability, focusing on the impairment and not society that’s not yet sufficiently accessible and inclusive to embrace these impairments and let people just be. We do NOT need to stop using the word disability.
While the language around disability is an interesting topic on its own, focusing on the history of the language of disability should not give us reason to think of new words. In my latest podcast with Tricia Malowney, Tricia pointed out a perfect example of this. What was once known as Sheltered Workshops has since been relabeled and yet the issues that surrounded Sheltered Workshops still continue in the 21st century. There is this idea that if we rename something to something that sounds more positive, more palatable, the issues will go away. They do not. It is true that in some cases language has progressed to be more inclusive, but that’s not just because of the word. It is about what has happened in society that has resulted in that word being used and other words scrapped.
However, when it comes to disability, society is now at a point where we know that disability is only negative when we think about it in terms of the medical model. That is, there is something wrong with the person, and it is expected that the person will have a certain life and have struggles. When we think of disability with the social model that is now used, we understand that disability isn’t the problem. Yes, there will be medical issues that a person may still have to face, but society needs to adapt to ensure it is inclusive and accessible for people with disabilities because we aren’t going away. There is nothing dirty about us, we will still be the same people with the same needs regardless of the word being used to describe us. Our conditions aren’t going away.
So please stop the discussions about the best terms to use, ask the individual what they prefer as you would a person when asking them about the gender pronouns. Next time you question these terms, ask yourself why you are questioning the terms. Is it because YOU find the word unpalatable? If so, why? Are you pushing your own ideals onto someone else with a disability?
Some food for thought to start the week. I’d love to hear your thoughts on the matter, disabled or not. This is a conversation that is still needed right now.
Originally posted on ainsleehooper.com.au